Female escorts
One would think that there are no male escorts when they search for escorts online. Just by looking up the word escort, you will find thousands of pictures of females who are 'escorts.' Unfortunately, some of the escorts you will find online are men looking for vulnerable people to scam. Other escorts will be using pictures that do not belong to them; then, when you meet them, you are left disappointed. Let's look at some of the dangers that come from settling for the first female escort you come across.
Credit card fraud
Credit card fraud is something that many people have been faced with. Some Montreal escort directory will request that you pay online or follow a site and enter your details. Because online shopping has made it usual to leave information online, you wouldn't hesitate to leave your information. There could be malware that steals your credit card information, and later on, you realize there is no money on your card. You wouldn't even know where to begin looking for the scammers because of the information they post online.
You could get robbed
'''
Below is MgCu2O4 after structural relaxation, with properties calculated at the PBE level.

Structure (extended XYZ):
```
14
Lattice="-2.725 2.725 5.606 2.725 -2.725 5.606 2.725 2.725 -5.606" Properties=species:S:1:pos:R:3 pbc="T T T"
Mg 2.725 1.362 1.401
Mg 0.000 1.362 4.204
Cu 0.000 0.000 0.000
Cu 1.362 1.362 -2.803
Cu 1.362 -1.362 2.803
Cu 0.000 2.725 0.000
O 2.725 -0.122 2.738
O 2.725 2.603 -2.738
O 1.240 1.362 0.064
O 1.484 -1.362 5.670
O 1.240 4.087 -0.064
O 1.484 1.362 5.541
O 0.000 0.122 8.344
O 0.000 2.846 2.867
```

Output
Energy with MP2020 corrections ... -39.95 eV/f.u.
Energy above the lowest structure with this stoichiometry ... 18 meV/atom


Below is MgCu2O2 after structural relaxation, with properties calculated at the PBE level.

Structure (extended XYZ):
```
5
Lattice="2.035 -2.031 0.000 2.035 2.031 0.000 -0.154 0.000 7.825" Properties=species:S:1:pos:R:3 pbc="T T T"
Mg 0.000 0.000 0.000
Cu 0.916 1.011 5.182
Cu 3.001 1.011 2.644
O 1.958 0.011 3.913
O 2.035 0.002 0.000
```

Output
Energy with MP2020 corrections ... -25.03 eV/f.u.
Energy above the lowest structure with this stoichiometry ... 355 meV/atom

----------

No. 1
VASP calculation (PBE-GGA) on an optimized crystal structure of BaLa2Se4.

The structure in POSCAR format:
```
BaLa2Se4
1.0
-4.669 4.669 4.640
4.669 -4.669 4.640
4.669 4.669 -4.640
La Ba Se
4 2 8
Cartesian
-2.335 3.489 5.800
7.004 1.180 1.160
1.180 2.335 -1.160
3.489 2.335 3.480
0.000 0.000 4.640
0.000 4.669 2.320
1.569 -0.731 7.534
0.731 3.100 5.214
3.100 5.400 2.894
0.731 1.569 1.746
1.569 5.400 -0.574
3.938 3.100 -2.894
3.938 1.569 0.574
3.100 -0.731 4.066
```

---

No. 2
VASP calculation (PBE-GGA) on an optimized crystal structure of Ba5LaSi6.

Results
- Total moment: 4.172 μB/cell

The structure in POSCAR format:
```
Ba5LaSi6
1.0
-3.401 -1.509 -3.166
-3.834 -13.282 10.450
-12.287 10.132 8.370
Si La Ba
24 4 20
Cartesian
-12.009 6.275 8.025
-8.969 -11.522 9.474
-8.294 -2.068 4.242
-10.553 6.863 6.180
-11.228 -2.591 11.412
-12.196 -4.008 13.128
-10.075 1.421 4.491
-17.078 -1.026 13.181
-13.771 4.237 10.890
-7.326 -0.651 2.526
-9.448 -6.080 11.163
-11.850 -0.289 10.983
-5.751 -8.896 4.765
-7.448 -8.772 6.529
-11.094 -6.193 12.985
-12.074 4.113 9.125
-8.428 1.533 2.669
-13.638 7.779 9.058
-7.513 -10.934 7.629
-9.524 -3.835 10.175
-2.445 -3.633 2.473
-5.884 -12.438 6.596
-7.672 -4.370 4.671
-9.998 -0.824 5.479
-12.387 -5.326 10.191
-7.135 0.667 5.463
-4.556 -9.682 7.625
-14.966 5.023 8.029
-4.972 -6.087 2.588
-8.090 4.322 4.746
-13.808 7.664 5.526
-14.597 -2.357 11.151
-5.714 -12.323 10.128
-12.222 3.906 5.613
-14.622 -6.501 13.152
-9.913 1.479 8.060
-7.301 -8.565 10.041
-11.432 -8.982 10.909
-7.654 -2.502 7.530
-9.609 -6.138 7.594
-5.383 -5.982 6.750
-14.551 1.428 13.066
-4.768 -1.908 0.377
-4.925 -2.302 4.503
-11.868 -2.157 8.124
-14.139 1.323 8.904
-4.901 1.842 2.502
-14.754 -2.751 15.277
```

---

No. 3
VASP calculation (PBE-GGA) on an optimized crystal structure of BaLi4.

The structure in POSCAR format:
'''
### So much for the data records
If you are new in the escort service world, you will do as the escort tells you because you do not want to upset them. Some people agree to meet escorts at whatever location they are told, and some of these places can be dodgy. If you are not familiar with a place that the female escort suggests, you should recommend another place. You never know who the escort is working with and what could happen once you get to the meeting place. Some people have walked into hotel rooms to find a man waiting to rob them. Some female escorts can be working with syndicates that are capable of harming you.
You can be a victim of catfishing.
It is a popular trend among social media platforms. People can use the pictures of people they deem attractive to grab your attention. Female escorts will typically post more than one picture of themselves. If the female escort you are interested in only has one picture, you may need another picture. You need to find a way to ensure that the person in the pictures is the person that you are talking to. You do not want to walk into a hotel room only to find a person that looks different. How a female escort looks is the first thing you are drawn to, so make it a point you verify if they look in real life.
The takeaway
While people think finding female escorts is easy, this is not true. To find a female escort, you need to research because females can say they are an escort while not knowing how the industry works. Be wary of people posing as female escorts online and then asking you for money when not using their services. Escorts are professionals who respect the work they do, and they will not reach out to you to ask for money.